A few days ago I mentioned one of the axiomatic rules having to do with art. That is, artists have always tended to paint or sculpt that which is most important to them. I pointed out that man's earliest works, as seen in surviving prehistoric art, reflected the relative importance of two topics in his life - sports and sex. As any "football widow" will tell you, not much has changed in 20,000 years. Dating almost that far back we find a few other extremely ancient art content areas, one being superstition and primitive religious images, another being representations of human figures - God and man. These too have persisted into contemporary art, though, in recent years, the prevalence of religious art seems to have waned to an even greater degree than religion itself. Or, perhaps it is just that we have so internalised our faith in a supreme being that we no longer need religious images as we once did.
********
Here is a relaxed La3GaIr3 crystal from Alexandria via LeMat-Bulk. Energies are from PBE. Values from VASP.

Values from the calculation:
DFT formation energy: -744 meV/atom
calculated volume: 323.3 Å³ per cell
uncorrected energy: -7.0855 eV per atom
crystal system: orthorhombic

Cell and atoms, written as Quantum ESPRESSO input:
```
&SYSTEM
  ibrav = 0, nat = 14, ntyp = 3
/
ATOMIC_SPECIES
Ir 192.22 Ir.upf
La 138.91 La.upf
Ga 69.72 Ga.upf
CELL_PARAMETERS angstrom
4.2311 0.0000 0.0000
-2.1155 5.4071 0.0000
0.0000 0.0000 14.1330
ATOMIC_POSITIONS angstrom
Ir 2.1155 4.5670 12.8987
Ir 0.0000 2.5589 3.5333
Ir 2.1155 4.5670 8.3009
Ir 2.1155 2.8481 10.5998
Ir 0.0000 0.8401 5.8322
Ir 0.0000 0.8401 1.2343
La 0.0000 5.2212 10.5998
La 2.1155 3.1669 1.5103
La 2.1155 0.1859 3.5333
La 0.0000 2.2401 12.6227
La 0.0000 2.2401 8.5768
La 2.1155 3.1669 5.5562
Ga 2.1155 0.0000 0.0000
Ga 2.1155 0.0000 7.0665
```


Here is a relaxed La3GaIr crystal from Alexandria via LeMat-Bulk. Energies are from PBE. Values from VASP.

Values from the calculation:
DFT formation energy: -565 meV/atom
calculated volume: 292.6 Å³ per cell
excess energy over the best structure of this formula in the dataset: 0 meV per atom
uncorrected energy: -5.8989 eV per atom
crystal system: triclinic

Cell and atoms, written as Quantum ESPRESSO input:
```
&SYSTEM
  ibrav = 0, nat = 10, ntyp = 3
/
ATOMIC_SPECIES
La 138.91 La.upf
Ir 192.22 Ir.upf
Ga 69.72 Ga.upf
CELL_PARAMETERS angstrom
5.9111 0.0406 0.4792
-2.9323 6.0425 -0.6971
0.6920 -3.0633 8.4521
ATOMIC_POSITIONS angstrom
La 3.3096 2.8201 2.8560
La 0.4555 4.3836 0.7539
La 0.3612 0.1998 5.3782
La 3.3722 2.4879 6.3930
La 0.2986 0.5320 1.8412
La 3.2154 -1.3637 7.4803
Ir 3.4407 4.1021 0.2554
Ir 0.2301 -1.0822 7.9788
Ga 3.4183 -0.1523 4.2860
Ga 0.2526 3.1722 3.9483
```

----------

(1)
VASP calculation (PBE) on crystalline Li2Th2Fe15 at its relaxed geometry.

Results
Space-group type ... No. 166

Cell: 6.4231 6.4231 6.4231 Å, 83.34 83.34 83.34°
Closest atoms and distances in Å follow each position.
Positions (direct):
Li 0.0898 0.0898 0.0898  1 Li 2.22
Li 0.9102 0.9102 0.9102  1 Li 2.22
Th 0.3424 0.3424 0.3424  18 Fe 2.95-3.28, 1 Li 3.12
Th 0.6576 0.6576 0.6576  18 Fe 2.95-3.28, 1 Li 3.12
Fe 0.0000 0.0000 0.5000  8 Fe 2.46, 2 Li 2.64
Fe 0.0000 0.3111 0.6889  8 Fe 2.46-2.66
Fe 0.0000 0.5000 0.0000  8 Fe 2.46, 2 Li 2.64
Fe 0.0000 0.6889 0.3111  8 Fe 2.46-2.66
Fe 0.1601 0.6636 0.6636  8 Fe 2.46-2.57, 1 Li 2.65
Fe 0.3111 0.0000 0.6889  8 Fe 2.46-2.66
Fe 0.3111 0.6889 0.0000  8 Fe 2.46-2.66
Fe 0.3364 0.3364 0.8399  8 Fe 2.46-2.57, 1 Li 2.65
Fe 0.3364 0.8399 0.3364  8 Fe 2.46-2.57, 1 Li 2.65
Fe 0.5000 0.0000 0.0000  8 Fe 2.46, 2 Li 2.64
Fe 0.6636 0.1601 0.6636  8 Fe 2.46-2.57, 1 Li 2.65
Fe 0.6636 0.6636 0.1601  8 Fe 2.46-2.57, 1 Li 2.65
Fe 0.6889 0.0000 0.3111  8 Fe 2.46-2.66
Fe 0.6889 0.3111 0.0000  8 Fe 2.46-2.66
Fe 0.8399 0.3364 0.3364  8 Fe 2.46-2.57, 1 Li 2.65


(2)
VASP calculation (PBE) on crystalline CoOs2Ru at its relaxed geometry.

Results
********
Primitive figural art first evolved into portraiture, in its earliest surviving form, probably in ancient Egypt. Though much Egyptian figural art is formalised and stylised, the sculpted bust of Nefertiti, dating from 1348 BCE, is so remarkably realistic we can only make the relatively safe assumption that it was also a portrait likeness. Several other pieces from the same period bear similar traits. But such portrait likenesses in Egyptian art were but brief flares of genius. It was another thousand years before Greek sculpture reached such heights of representational audacity as to approach our modern day definition of portraiture. And, even at that, as I mentioned a few days ago, so much regarding portraiture depends upon our definition of the term. Is the image of Alexander the Great on a Greek drachma coin dating from 300 BCE an actual likeness, or merely a symbolic one? Although we have no way of knowing whether the Greeks mastered the art of portraying sculpted or painted likeness, those of their Roman predecessors are so individualistic and naturalistic as to make such judgements much more certain.
• Calculated crystals from another source follow:
=====
A geometry-optimized NaNpSb2 structure, computed with GGA-PBE.

- magnetic moment (μB per cell) = 16.258
- offset from the most stable computed form (eV/atom) = 0.119
- total DFT energy (no corrections) (eV/atom) = -5.742

```
data_NaNpSb2
_chemical_formula_sum 'Na4 Np4 Sb8'
_cell_length_a 7.528
_cell_length_b 7.528
_cell_length_c 7.528
_cell_angle_alpha 90.00
_cell_angle_beta 90.00
_cell_angle_gamma 90.00
_symmetry_space_group_name_H-M 'F m -3 m'
_symmetry_Int_Tables_number 225
_symmetry_space_group_name_Hall '-F 4 2 3'
loop_
_atom_site_label
_atom_site_fract_x
_atom_site_fract_y
_atom_site_fract_z
_atom_site_occupancy
Na1 0.000 0.000 0.000 1
Np1 0.000 0.000 0.500 1
Sb1 0.250 0.250 0.250 1
```

A geometry-optimized NaNpSb2 structure, computed with GGA-PBE.

- magnetic moment (μB per cell) = 9.211
- offset from the most stable computed form (eV/atom) = 0.148
- total DFT energy (no corrections) (eV/atom) = -5.713

```
data_NaNpSb2
_chemical_formula_sum 'Na3 Np3 Sb6'
_cell_length_a 4.6125
_cell_length_b 4.6125
_cell_length_c 20.6040
_cell_angle_alpha 90.00
_cell_angle_beta 90.00
_cell_angle_gamma 120.00
_symmetry_space_group_name_H-M 'R -3 m'
_symmetry_Int_Tables_number 166
_symmetry_space_group_name_Hall '-R 3 2"'
loop_
_atom_site_label
_atom_site_fract_x
_atom_site_fract_y
_atom_site_fract_z
_atom_site_occupancy
Na1 0.0000 0.0000 0.0000 1
Np1 0.0000 0.0000 0.5000 1
Sb1 0.0000 0.0000 0.2399 1
```

~~~~~

[1]
Material: YTcAu2
Method: DFT, PBEsol
State: relaxed Values from VASP.

Properties
The spin magnetization is 1.71 μB per cell. The calculation puts the total energy at -6.418 eV/atom.

```
&SYSTEM
  ibrav = 0, nat = 4, ntyp = 3
/
ATOMIC_SPECIES
Au 196.97 Au.upf
Tc 98.00 Tc.upf
Y 88.91 Y.upf
CELL_PARAMETERS angstrom
-3.759 0.344 -2.777
-1.727 -3.822 -2.090
-4.109 -1.775 1.388
ATOMIC_POSITIONS angstrom
Au 0.000 0.000 0.000
Au -2.399 -1.313 -0.870
Tc -4.798 -2.627 -1.740
Y -7.197 -3.940 -2.609
```

***

[2]
Material: CrInC2
Method: DFT, PBEsol
State: relaxed Values from VASP.

Properties
The spin magnetization is 1.80 μB per cell. The calculation puts the total energy at -7.316 eV/atom.

```
&SYSTEM
  ibrav = 0, nat = 8, ntyp = 3
/
ATOMIC_SPECIES
C 12.01 C.upf
In 114.82 In.upf
Cr 52.00 Cr.upf
CELL_PARAMETERS angstrom
4.791 0.000 0.000
0.000 4.791 0.000
-2.396 -2.396 4.577
ATOMIC_POSITIONS angstrom
C -1.198 -0.870 3.433
C 1.198 0.870 3.433
C 3.265 1.198 1.144
C 1.526 3.593 1.144
In 0.000 2.396 2.289
In 0.000 0.000 0.000
Cr 2.396 2.396 0.000
Cr 2.396 0.000 2.289
```

***

[3]
Material: MnRu2Pb
Method: DFT, PBEsol
State: relaxed Values from VASP.

Properties
The spin magnetization is 4.04 μB per cell. The calculation puts the total energy at -7.855 eV/atom.

```
&SYSTEM
  ibrav = 0, nat = 4, ntyp = 3
/
ATOMIC_SPECIES
Mn 54.94 Mn.upf
Ru 101.07 Ru.upf
Pb 207.20 Pb.upf
CELL_PARAMETERS angstrom
2.882 0.028 0.000
-0.331 4.931 0.000
-1.275 -2.480 4.436
ATOMIC_POSITIONS angstrom
Mn -0.165 2.466 0.000
Ru 0.638 1.240 2.218
Ru -0.638 -1.240 2.218
=====
But just as the fall of the Roman Empire set western civilisation back a thousand years, the same must be said of the art of portraiture as well. The Imperial portrait of the Emperor Lothair, dating from 849 CE, while impressive in its detail, is, in its own way, nearly as stylised and symbolic as those of ancient Egypt. Even as late as 1317, we see in the religious paintings of Italian artist Simone Martini, especially in his donor portraits, much of the same stiff, stylised rendering and only the barest suggestion that his static profiles might bear some actual resemblance to his patrons. Yet as little as 43 years later, an unknown artist (probably of Italian origin) painted a profile portrait of King John II of France so strikingly individualised and accurate in its facial anatomy that we might consider it the first true portrait likeness of any consequence since Roman times.
== Next to the entry, the page also holds calculated crystals ==
........
Density functional theory data (PBE+U) for a relaxed LiMn3O4F2 crystal.

The volume comes out at 11.93 Å³/atom. The energy above the most stable polymorph in this dataset comes out at 198 meV/atom. For the density of states at the Fermi level, the calculation gives 0.173 states/eV per atom. The total energy comes out at -6.491 eV/atom.

It has space group P1 (No. 1), with a = 4.525 Å, b = 5.493 Å, c = 5.593 Å, α = 83.89°, β = 68.70° and γ = 67.18°. Symmetry generates all atoms from Li at (0.000, 0.000, 0.000), Mn at (0.250, 0.462, 0.078), Mn at (0.403, 0.865, 0.377), Mn at (0.848, 0.650, 0.680), O at (0.326, 0.689, 0.749), O at (0.607, 0.472, 0.194), O at (0.918, 0.386, 0.970), O at (0.938, 0.807, 0.331), F at (0.119, 0.269, 0.447) and F at (0.563, 0.018, 0.977).

=====

An optimized crystal structure of MnNb2S4, computed with PBE-GGA.

The structure belongs to space group Pnma (No. 62); the cell edges are 9.0329, 3.3550 and 17.0294 Å and the angles 90.00°, 90.00° and 90.00°. The asymmetric unit holds Mn at (0.1957, 0.2500, 0.2189), Nb at (0.0033, 0.7500, 0.4288), Nb at (0.1233, 0.7500, 0.9716), S at (0.0174, 0.7500, 0.1063), S at (0.1256, 0.2500, 0.7074), S at (0.1735, 0.2500, 0.3628) and S at (0.1938, 0.7500, 0.5377).

For the uncorrected formation energy, the calculation gives -773 meV per atom. For the energy, the calculation gives -7.3183 eV per atom.

=====

The following is a DFT calculation (PBE-GGA) of crystalline Ac4CuIrCl2 at its relaxed geometry.

Geometry as POSCAR:
```
Ac4CuIrCl2
1.0
7.573 0.000 0.000
0.000 4.423 0.000
-2.558 0.000 7.900
Ac Cu Ir Cl
4 1 1 2
Cartesian
1.207 0.000 1.612
-0.100 2.212 6.284
5.115 2.212 1.616
3.808 0.000 6.289
3.786 0.000 0.000
0.000 2.212 0.000
-1.279 0.000 3.950
2.508 2.212 3.950
```

## Properties
* calculated volume: 264.6 Å³/cell
* calculated density: 7.75 g/cm3
* SG: P2/m (10)
* formation energy from raw total energies: -24.01 kcal/mol of atoms

=====

The following is a DFT calculation (PBE-GGA) of crystalline SbMoPt3 at its relaxed geometry.

Geometry as POSCAR:
```
SbMoPt3
1.0
4.850 0.000 0.000
0.000 4.850 0.000
0.000 0.000 4.850
Sb Mo Pt
1 1 3
Cartesian
0.000 0.000 0.000
2.425 2.425 2.425
0.000 2.425 2.425
2.425 0.000 2.425
2.425 2.425 0.000
```

## Properties
* excess energy over the best structure of this formula in the dataset: 0.0 meV/atom
* calculated volume: 114.1 Å³/cell
* calculated density: 11.69 g/cm3
* SG: Pm-3m (221)
* formation energy from raw total energies: 21.52 kcal/mol of atoms

=====

The following is a DFT calculation (PBE-GGA) of crystalline LiZr2Ta at its relaxed geometry.

Geometry as POSCAR:
```
LiZr2Ta
1.0
5.424 -1.535 0.000
5.424 1.535 0.000
-2.034 0.000 4.802
Li Zr Ta
1 2 1
Cartesian
0.000 0.000 0.000
4.651 0.000 2.396
7.837 0.000 0.634
1.687 0.000 3.133
```

## Properties
* excess energy over the best structure of this formula in the dataset: 108.7 meV/atom
* ΔH_f (0 K): 0.25 eV per atom
* calculated volume: 79.9 Å³/cell
* calculated density: 7.69 g/cm3
* SG: Cm (8)
........
Strangely, considering the many hundreds of years in which the painting of portraits languished in ineptitude, once artists began to again seriously study the human face and strive to reproduce its anatomical similarities as well as its individual differences in paint, the movement to modern day, highly characteristic portraiture was amazingly rapid. In little more than a hundred years after the unknown artist captured the likeness of King John II, Robert Campin in the Netherlands was routinely turning out subtle, three-quarter view portraits as accurate as any we might find today, and not just of kings and noblemen, but those of such middle-class individuals that their likenesses have survived long after their names have been forgotten. And while the importance of religious art may have waned in modern times, portraiture has become so vital to our daily lives that we must carry such likenesses with us to drive a car, to cash a check, or to, in many cases now, report to work.